Thursday, March 23, 2006

Model Design Patterns For: Document Management System

The following design pattern I’ve known for several years and have implemented it to great success. The subtles are what will save you:
1. Having an explicit ExpirationDate will save you having to look up what an initial contract’s end date is when you imply that the Start date of the replacing contract is the end of initial contract (When in doubt, be explicit not implicit);
2. You can use Between statements for getting contracts that are currently active;
3. Not mixing non-customer-visible change history with official versioned data will save you from having to always filter change history out of the resultset.

The design pattern below will cover a simplified contract management model that will track the work flow status of a contract and provide simple change control. This example is just to demonstrate the design pattern and can be used in variation for other concepts as well. It will simplify the understanding of your system.

Concept: Contract
A contract defines the terms for services to be rendered in exchange for money between two or more legal entities. A contract can not be changed once it has been activated. If you require to change the contract after the contract is activated you need to Terminate the contract and create a new contract with the required changes.

Concept: Contract Effective Date
A contract’s effective date represents the date the contract will be activated. This date can’t be changed once the current date is less than its effective date.

Concept: Contract Expiration Date
A contract’s expiration date represents the date the contract expires. Open ended contracts have no expiration date.

Concept: Contract Termination Date
A contract’s termination date represents the date the contract was terminated. Use this date to prematurely cancel a contract and yet preserve the original expiration date.

Concept: Contract Status
A contract’s work flow is controlled by its status: Draft, Approved, Active, Terminated, Expired.
1. Draft – Represents that the contract is a draft. Contract and terms can be changed freely.
2. Approved– Represents that the contract has been approved. Contract and terms can NOT change except the Contract Status, Effective Date and Expiration Date.

3. Active – Represents that the contract is activated. Contract and terms can NOT change except the Contract Status and Expiration Date.
4. Terminated – Represents that the contract has been terminated prematurely. Contract and terms can NOT be changed.
5. Expired – Represents that the contract has naturally Expired based on the contract’s expiration date. Contract and terms can NOT be changed.

Concept: Change history tracking
Change history tracking tracks all changes done to a table. Please see for technique.

Unrelated to this text: crystal structures
-- begin --
(1)
Structure and theoretical powder diffractogram of Pr3CdCu (a structure optimized by DFT (GGA-PBE); copper Kα).
Kinematic intensities with the Lorentz-polarization factor, no thermal factor.

Largest 12 diffraction maxima, low angle first, 2θ = 10–80°:
- (1 1 1), 24.01°, intensity 7
- (1 5 1), 32.45°, intensity 100
- (2 0 0), 33.62°, intensity 52
- (1 7 1), 39.26°, intensity 6
- (2 6 0), 43.25°, intensity 5
- (0 10 0), 44.76°, intensity 7
- (2 0 2), 48.28°, intensity 18
- (2 10 0), 57.13°, intensity 13
- (3 5 1), 59.38°, intensity 35
- (2 10 2), 67.94°, intensity 8
- (4 0 0), 70.67°, intensity 6
- (3 5 3), 79.93°, intensity 7

Crystal structure
```
data_Pr3CdCu
_space_group_name_H-M_alt 'C m c m'
_space_group_IT_number 63
_space_group_name_Hall '-C 2c 2'
_cell_length_a 5.332
_cell_length_b 20.247
_cell_length_c 5.331
_cell_angle_alpha 90.00
_cell_angle_beta 90.00
_cell_angle_gamma 90.00
loop_
_atom_site_label
_atom_site_type_symbol
_atom_site_fract_x
_atom_site_fract_y
_atom_site_fract_z
Pr1 Pr 0.000 0.064 0.250
Pr2 Pr 0.000 0.249 0.250
Pr3 Pr 0.000 0.434 0.250
Cd1 Cd 0.000 0.156 0.750
Cu1 Cu 0.000 0.340 0.750
```

***

(2)
Structure and theoretical powder diffractogram of YZnNi4Ge2 (a structure optimized by DFT (GGA-PBE); copper Kα).
Kinematic intensities with the Lorentz-polarization factor, no thermal factor.

Largest 12 diffraction maxima, low angle first, 2θ = 10–80°:
- (0 0 3), 10.72°, intensity 17
- (1 0 4), 29.33°, intensity 8
- (0 1 5), 31.32°, intensity 9
- (1 0 7), 36.13°, intensity 16
- (0 1 8), 38.87°, intensity 86
- (0 0 12), 43.90°, intensity 8
- (1 1 0), 44.89°, intensity 100
- (0 1 11), 48.09°, intensity 19
- (2 0 8), 60.85°, intensity 22
- (1 1 12), 64.60°, intensity 15
- (2 0 11), 67.88°, intensity 6
- (1 2 8), 78.72°, intensity 20

Crystal structure
```
data_YZnNi4Ge2
_space_group_name_H-M_alt 'R -3 m'
_space_group_IT_number 166
_space_group_name_Hall '-R 3 2"'
_cell_length_a 4.0384
_cell_length_b 4.0384
_cell_length_c 24.7485
_cell_angle_alpha 90.00
_cell_angle_beta 90.00
_cell_angle_gamma 120.00
loop_
_atom_site_label
_atom_site_type_symbol
_atom_site_fract_x
_atom_site_fract_y
_atom_site_fract_z
Y1 Y 0.0000 0.0000 0.0000
Zn1 Zn 0.0000 0.0000 0.5000
Ni1 Ni 0.0000 0.0000 0.1323
Ni2 Ni 0.0000 0.0000 0.4053
Ge1 Ge 0.0000 0.0000 0.2448
```

=====

No. 1
# NaZnHCO4
Simulated XRD peak list, Cu Kα, 1.54184 Å. Input: a structure optimized by DFT (PBE).
Neutral-atom scattering factors, no anomalous dispersion.

The 6 most intense peaks (15 to 90 degrees two-theta), low angle first:
| Position (°2θ) | I (rel.) |
| --- | --- |
| 19.03 | 100.0 |
| 19.42 | 78.7 |
| 26.95 | 86.9 |
| 31.68 | 70.6 |
| 32.07 | 62.9 |
| 33.75 | 94.1 |

Structural model:
```
NaZnHCO4
1.0
3.3391 0.0000 0.0000
0.0000 5.4216 0.0000
-1.2457 0.0000 9.1399
Na Zn H C O
2 2 2 2 8
Direct
0.0000 0.1725 0.0000
0.0000 0.8275 0.5000
0.5674 0.3386 0.6172
0.5674 0.6614 0.1172
0.1763 0.0810 0.7462
0.1763 0.9190 0.2462
0.5316 0.2839 0.3245
0.5316 0.7161 0.8245
-- stop --

ContractID (PK)
ContractNumber (AK)
… (Other attributes about the contract)


ContractID, RecordedDateTime (PK)
… (Other attributes about the contract)


StatusCode (PK)
StatusName (AK)

1 comment:

jogo said...

Excellent blog man! I'm working on a project proposal for one mid-sized company: DB + Document Management System and I've found your blog very useful.

Actually, I was looking for "DMS best practices" and it took me here and here are really outstanding advices and recommendations.

And I like the article about db versioning great as well. Simple ideas are the best :o)

Thanks for sharing!